Crucial Choices Determine Our Course

********
(1)
A cluster of 2 separate species, C9H14 in total, computed with ωB97M-V/def2-TZVPD.

Lowest unoccupied orbital energy (spin up / spin down) ... -4.6 / -8.4 eV
⟨S²⟩ ... 0.77
Energy above the lowest of the compared OMol25 structures with the same formula, charge and spin ... 0.923 eV
Charge ... +1
Spin multiplicity ... 2

Geometry (Å):
C1 3.63 2.27 -0.20
C2 2.65 1.86 -1.29
H1 3.16 2.29 0.81
H2 4.49 1.62 -0.11
H3 4.03 3.28 -0.32
H4 2.04 1.00 -1.06
H5 3.05 1.70 -2.30
H6 1.93 2.68 -1.45
C3 -3.12 -0.28 -0.90
C4 0.23 -1.40 1.33
C5 0.12 -1.90 0.04
C6 -0.48 -0.27 1.75
C7 -0.88 -1.34 -0.79
C8 -1.51 0.26 0.96
C9 -1.77 -0.34 -0.25
H7 0.81 -2.01 2.08
H8 0.79 -2.69 -0.27
H9 -0.24 0.36 2.59
H10 -0.94 -1.74 -1.80
H11 -2.18 1.10 1.30
H12 -3.87 -1.00 -0.49
H13 -2.85 -0.44 -1.95
H14 -3.65 0.67 -0.84



(2)
A cluster of 2 separate species, C9H14 in total, computed with ωB97M-V/def2-TZVPD.

Lowest unoccupied orbital energy (spin up / spin down) ... -4.3 / -8.3 eV
⟨S²⟩ ... 0.77
Energy above the lowest of the compared OMol25 structures with the same formula, charge and spin ... 0.518 eV
Charge ... +1
Spin multiplicity ... 2

Geometry (Å):
C1 1.52 -1.91 -1.39
C2 2.73 -1.38 -0.67
H1 1.70 -2.28 -2.41
H2 1.08 -2.81 -0.97
H3 0.82 -1.09 -1.58
H4 3.66 -1.91 -0.86
H5 2.53 -1.50 0.39
H6 2.90 -0.31 -0.78
C3 -2.31 -0.91 0.48
C4 0.00 2.58 0.58
C5 -0.57 2.20 -0.63
C6 -0.26 1.89 1.79
C7 -1.35 1.05 -0.65
C8 -1.06 0.76 1.83
C9 -1.54 0.35 0.58
H7 0.66 3.44 0.60
H8 -0.46 2.81 -1.51
H9 0.23 2.21 2.70
H10 -1.76 0.67 -1.57
H11 -1.09 0.21 2.75
H12 -2.63 -1.21 -0.52
H13 -3.13 -1.05 1.19
H14 -1.65 -1.79 0.64



(3)
An isolated molecule of C9H14BIO2, computed with ωB97M-V/def2-TZVPD.

Lowest unoccupied orbital energy (spin up / spin down) ... -0.2 / -0.3 eV
Energy above the lowest of the compared OMol25 structures with the same formula, charge and spin ... 2.796 eV

Geometry (Å):
B1 -0.07 -0.73 2.27
C1 0.43 -2.15 -0.10
C2 0.46 -0.15 -1.69
C3 0.07 -1.54 1.03
C4 0.65 -1.44 -1.39
C5 -0.30 1.01 -0.99
C6 0.19 1.34 0.37
C7 1.50 -2.20 -2.37
C8 -1.77 0.80 -0.91
C9 -0.56 2.32 1.25
O1 1.14 -0.42 2.86
O2 -1.35 -0.51 2.83
I1 2.32 1.45 0.57
H1 0.47 -3.32 -0.23
H2 0.71 0.10 -2.75
H3 0.05 1.87 -1.59
H4 0.92 -2.17 -3.35
H5 1.49 -3.23 -2.11
H6 2.46 -1.82 -2.41
H7 -2.08 0.33 -1.84
H8 -2.34 1.80 -0.88
H9 -2.15 0.26 -0.03
H10 -1.49 1.97 1.85
H11 -0.88 3.24 0.68
H12 0.23 2.80 2.08
H13 1.25 0.45 3.20
H14 -1.35 -0.05 3.66



(4)
A cluster of 2 separate species, C9H14BNO5 in total, computed with ωB97M-V/def2-TZVPD.

Lowest unoccupied orbital energy ... -1.2 eV
Energy above the lowest of the compared OMol25 structures with the same formula, charge and spin ... 0.000 eV
SMILES ... CCNC1=CC(=O)C(B(O)O)=CC1=O.CO

Geometry (Å):
C1 0.56 -4.20 -2.56
C2 0.03 -2.86 -3.09
N1 1.01 -1.77 -2.94
C3 0.86 -0.96 -1.81
C4 0.20 0.20 -1.74
C5 0.22 0.96 -0.46
O1 0.27 2.17 -0.43
C6 0.23 0.14 0.81
B1 -0.51 0.63 2.12
O2 -0.19 0.12 3.35
O3 -1.46 1.62 2.05
C7 0.91 -1.01 0.74
C8 1.55 -1.43 -0.55
O4 2.59 -2.04 -0.57
H1 0.20 -4.42 -1.56
********
• Here the text continues:

Crucial Choices Determine Our Course

CS Lewis: Mere ChristianityMy weekly men’s group departed recently from our customary look at a book or DVD series to spend a couple months reviewing a devotional. The discussion that particularly caught my attention centered on the theme, “Crucial Choices.”

The week’s lesson included an excerpt from C.S. Lewis’ masterpiece, Mere Christianity. It talked about how the choices we make determine whether we turn into a heaven-bound creature or a hellish one. That, Lewis says, is the difference between joy, peace, and knowledge, or madness, horror, and eternal loneliness.

That prompted considerable reflection on two of my crucial choices, starting with a decision to follow Christ instead of my fleshly, self-centered, emotion-driven desires.

More than three decades later, I can say that to continue as a foul-mouthed, arrogant, partying jerk would have led down a road of ruin. I can easily imagine how my marriage would have dissolved, my family relationships been destroyed, and my career ruined by conflict or burnout.

Going Broke

I thought about another crucial choice after reading a recent magazine interview where former presidential domestic policy adviser Karl Zinsmeister told of building houses for a living earlier in his career.

********
{
  "formula": "C5H8N5O2",
  "method": "ωB97M-V/def2-TZVPD",
  "e_tot_ev": -16849.191,
  "relative_energy_kcal_mol": 38.3,
  "total_charge": 1,
  "smiles": "[NH2+]=c1nc[nH]cc([O-])n(O)c[nH+]1",
  "elements": ["N", "C", "N", "C", "N", "C", "C", "O", "N", "O", "C", "N", "H", "H", "H", "H", "H", "H", "H", "H"],
  "xyz": [[-0.747, -1.363, 1.993], [0.070, -0.545, 1.392], [-0.042, 0.769, 1.603], [-0.407, 1.825, 0.943], [-1.018, 1.721, -0.233], [-1.288, 0.445, -0.735], [-0.440, -0.444, -1.311], [-0.626, -1.545, -1.802], [0.993, -0.155, -1.290], [1.499, 0.302, -2.497], [1.793, -0.555, -0.351], [1.250, -0.998, 0.841], [-0.591, -2.307, 1.748], [-1.572, -0.870, 2.184], [-0.227, 2.754, 1.419], [-1.800, 2.347, -0.370], [-2.436, 0.261, -0.807], [0.927, 0.782, -3.101], [2.945, -0.555, -0.625], [1.717, -1.870, 0.999]]
}


{
  "formula": "C5H8NO",
  "method": "ωB97M-V/def2-TZVPD",
********

In the course of the interview he reflected: “I aspired to make it as a freelance writer, and that’s a very good way to go broke.”

I can vouch for that statement. That happened my first year on my own after getting downsized from my job, when I did a mixture of freelancing and public relations work.

“Oh, well, I’ve got to pay some dues and get established,” I thought. The second time that happened, I thought, “Oh, no, not again.” Several years later, when it occurred a third time, I thought, “How could I be so stupid?”

Hitting the Wall

Making crucial choicesIndeed, about six years after I sensed God telling me He wanted me to concentrate on using my writing talent for Him, I hit a brick wall. Two weeks after we moved to Louisville, Kentucky, a 16-inch snowstorm blanketed the area after a weather forecast of one inch. With the city ill-prepared for the onslaught, that shut everything down for five days.

Back in the pre-everything-sent-by-email era, that meant the material for a newsletter job sent by overnight delivery from Colorado took until the following week to arrive. With not much other work amid the transition, I thought, “I’m sick of this. I need to earn some steady income.”

So I went to a job interview. Soon after, I finished a book written by a guy who I had interviewed a couple years before for a magazine. Now, I had read most of it, but this day I felt compelled to finish the last 50 pages.

The author related how he had suddenly lost his job, but God told him not to protest or take action to get it back, because He didn’t want the author looking to a comfortable position—but to Him.

In the stillness of my office that morning, I sensed Him saying, “Now do what I called you to do.

[1]
This record from OMol25 describes an isolated ion of composition CH2IO2Si and charge -1. The level of theory is ωB97M-V/def2-TZVPD.

## Properties
Orbital gap: 0.261 hartree
HOMO: -4.233 eV
E_tot: -21144.5337 eV
Molecular weight: 201.015 g mol⁻¹
Strongest force on any atom: 5.64 eV/A
Net charge: -1

Atoms and positions in Å:
O  1.90  0.07  1.07
C  1.17  0.03  0.02
O  1.72  -0.22  -1.22
Si  -0.75  0.26  0.07
I  -1.70  -2.07  0.06
H  -1.21  1.04  1.22
H  -1.13  0.88  -1.22

[2]
This record from OMol25 describes C36H33GeInN5O as an isolated structure. The level of theory is ωB97M-V/def2-TZVPD.

## Properties
Orbital gap (spin up / spin down): 0.230 / 0.196 hartree
HOMO (spin up / spin down): -13.032 / -13.029 eV
E_tot: -109043.0664 eV
⟨S²⟩: 0.802
Molecular weight: 739.122 g mol⁻¹
Strongest force on any atom: 0.95 eV/A
Multiplicity: 2
Net charge: +2

Atoms and positions in Å:
In  0.89  -0.32  -0.96
C  4.30  1.67  2.89
C  3.20  2.52  3.00
C  2.29  2.61  1.97
C  2.45  1.83  0.82
C  3.54  0.94  0.74
C  4.47  0.88  1.76
N  1.55  1.82  -0.23
C  0.87  2.93  -0.64
C  1.29  4.26  -0.39
C  0.58  5.31  -0.92
C  -0.55  5.10  -1.71
C  -0.96  3.81  -1.99
C  -0.26  2.74  -1.46
N  -0.60  1.39  -1.71
N  -1.69  1.16  -2.25
C  -1.94  -0.23  -2.49
C  -3.21  -0.57  -2.90
C  -3.50  -1.92  -3.07
C  -2.50  -2.85  -2.86
C  -1.24  -2.40  -2.47
N  -0.96  -1.11  -2.30
H  5.02  1.61  3.70
H  3.06  3.11  3.90
H  1.41  3.24  2.08
H  3.68  0.35  -0.17
H  5.32  0.22  1.68
H  2.19  4.43  0.17
H  0.92  6.33  -0.74
H  -1.09  5.94  -2.12
H  -1.82  3.62  -2.62
H  -3.95  0.21  -3.04
H  -4.49  -2.23  -3.37
H  -2.68  -3.91  -2.98
H  -0.43  -3.10  -2.30
C  1.23  1.11  -4.47
C  2.25  0.21  -3.85
N  3.25  -0.21  -4.60
O  2.19  -0.13  -2.65
H  1.46  1.37  -5.50
H  1.15  2.02  -3.87
H  0.26  0.60  -4.45
H  3.35  0.06  -5.56
H  3.96  -0.82  -4.20
C  1.96  -3.18  1.00
Ge  0.54  -1.88  1.22
C  0.78  -0.80  2.79
C  1.92  -1.04  3.55
C  2.10  -0.42  4.78
C  1.14  0.47  5.25
C  0.01  0.74  4.49
C  -0.18  0.10  3.27
C  -1.20  -2.63  0.90
C  -1.27  -4.00  0.92
C  -2.51  -4.67  0.76
C  -3.65  -3.96  0.60
C  -3.63  -2.53  0.56
C  -4.82  -1.78  0.40
C  -4.80  -0.42  0.37
C  -3.57  0.26  0.50
C  -2.41  -0.44  0.66
C  -2.40  -1.86  0.71
H  1.97  -3.88  1.84
H  2.92  -2.67  0.95
H  1.80  -3.74  0.08
H  2.67  -1.74  3.20
H  2.98  -0.63  5.37
H  1.28  0.95  6.21
H  -0.74  1.42  4.87
H  -1.09  0.29  2.73
H  -0.38  -4.59  1.05
H  -2.54  -5.75  0.79
H  -4.61  -4.46  0.49
H  -5.76  -2.32  0.31
H  -5.72  0.14  0.26
H  -3.55  1.35  0.48
H  -1.47  0.10  0.76

~~~~~

Record 1
ORCA calculation (ωB97M-V with the def2-TZVPD basis set) on C25H24GeO3PPmSSe2 as an isolated structure.

The geometry in XYZ format:
```
58
Properties=species:S:1:pos:R:3:forces:R:3
H 3.347 2.789 2.468 0.28 0.19 0.50
C 1.151 -2.438 1.112 0.28 -0.12 -0.82
H 2.501 -2.322 -0.558 -0.16 -0.43 -0.22
H -0.405 0.980 -3.783 0.30 0.11 -0.40
Se -0.023 -0.981 -1.529 0.23 -0.03 -0.77
H -5.961 1.126 -0.753 0.10 -0.21 -0.10
(End of the molecular data)

Doors Open—and Close

Less than two months later, I got the assignment that launched a steady stream of work with a national magazine, followed by numerous other connections. One door opened another which opened another, which opened another.

Yet there have been plenty of setbacks, too. Over the past seven years I have been downsized by several organizations, including one that used to represent my number one income-producing account.

In addition to an erratic income, I have no six-figure IRA, no paid vacations, and other earthly security. Yet I have no regrets, because I know the joy of fulfilling work, incredible friendships forged because of my freelance connections, and a future in heaven.

It was indeed a crucial choice.